Rules of the Road When Passing Horseback Parties and Livestock

An issue that is important for all drivers of any vehicle on Montana roads, particularly on more private county roads that connect ranches and pastures in this great state, is how to safely and with courtesy, approach horse-back riders and livestock sharing these same roads.
I ride our roads periodically and am often astonished with the lack of either courtesy or knowledge of the potential for a major incident involving either riders or livestock by drivers in general. As I planned this article, I searched for a specific Montana highway law addressing this subject and have not found one to date. I did find this quotation of Rule 214 published in the UK:
(Molecular data, as found in the file)
# C7H17N3O4

A 3-piece molecular cluster, C7H17N3O4 overall (ωB97M-V/def2-TZVPD, OMol25).

Each atom is followed by the atoms it is bonded to, with distances in Å.
Positions of all 31 atoms, in Å:
1 C 1.19 -1.62 -2.54  N2 1.501, H5 1.090, H6 1.090, H7 1.090
2 N 2.25 -0.61 -2.21  C1 1.501, O3 1.246, O4 1.131
3 O 2.15 0.05 -1.16  N2 1.246
4 O 3.07 -0.49 -2.98  N2 1.131
5 H 0.25 -1.43 -2.01  C1 1.090
6 H 1.62 -2.58 -2.28  C1 1.090
7 H 0.96 -1.64 -3.60  C1 1.090
8 C -2.25 0.55 -0.14  O9 1.235, N10 1.373, H13 1.101
9 O -3.40 0.30 0.24  C8 1.235
10 N -1.93 1.55 -1.03  C8 1.373, C11 1.456, C12 1.426
11 C -0.86 1.40 -2.01  N10 1.456, H14 1.090, H15 1.090, H16 1.090
12 C -2.88 2.60 -1.23  N10 1.426, H17 1.090, H18 1.090, H19 1.090
13 H -1.35 -0.02 0.14  C8 1.101
14 H -1.16 0.96 -2.96  C11 1.090
15 H -0.09 0.71 -1.67  C11 1.090
16 H -0.37 2.35 -2.19  C11 1.090
17 H -3.79 2.43 -0.64  C12 1.090
18 H -2.43 3.57 -1.39  C12 1.090
19 H -3.28 2.32 -2.20  C12 1.090
20 C 1.24 -1.69 3.91  O21 1.236, N22 1.358, H25 1.101
21 O 2.25 -1.77 4.63  C20 1.236
22 N 1.19 -1.08 2.70  C20 1.358, C23 1.466, C24 1.445
23 C -0.04 -1.22 1.92  N22 1.466, H26 1.090, H27 1.090, H28 1.090
24 C 1.94 0.11 2.39  N22 1.445, H29 1.090, H30 1.090, H31 1.090
25 H 0.43 -2.44 3.99  C20 1.101
26 H -0.65 -0.42 2.33  C23 1.090
27 H -0.50 -2.20 1.88  C23 1.090
28 H 0.12 -1.05 0.86  C23 1.090
29 H 2.26 0.14 1.34  C24 1.090
30 H 1.39 0.98 2.75  C24 1.090
31 H 2.69 0.23 3.17  C24 1.090

Summary:
Total charge: -1
⟨S²⟩: 0.75
Multiplicity: 2
E_tot in Eh: -741.985258
HOMO-LUMO gap (alpha / beta) in eV: 3.281 / 7.716
Strongest force on any atom in eV/Å: 13.39
Highest occupied orbital energy (alpha / beta) in eV: -0.3 / -4.7

=====

(1)
A 3-piece molecular cluster, C23H51BNO7 overall in a non-equilibrium geometry. Source: OMol25; level of theory: the ωB97M-V functional and the def2-TZVPD basis.

XYZ file:
```
83
Properties=species:S:1:pos:R:3:forces:R:3
C 3.4307 1.8538 -0.3256 -0.4 -0.3 -0.7
C 2.0304 1.1956 -0.3340 0.6 0.1 0.0
B 2.0435 -0.3185 -0.8113 -0.2 0.3 0.4
O 1.8483 -1.2625 0.2010 -0.8 0.1 -0.2
C 2.2318 -0.7255 -2.3324 0.0 0.1 0.1
C 1.5721 0.3767 -3.1957 -0.1 -0.8 0.1
C 0.0515 0.4893 -3.0197 0.2 0.5 -0.1
C -0.7856 -0.0271 -4.1682 -0.9 -0.1 0.2
O -2.1726 0.1632 -3.8765 0.2 -0.1 -0.2
C -2.7415 -0.8440 -3.0625 -0.2 0.3 0.2
C 1.5800 -2.0836 -2.7245 0.9 0.5 0.4
C 2.4349 -3.3651 -2.6274 -0.9 -1.2 0.3
C 1.8425 -4.3738 -3.6312 0.2 0.5 -0.3
C 2.3308 -4.0581 -1.2442 0.3 -0.1 -0.4
N 3.8436 -3.1365 -3.0252 -0.6 1.5 -1.0
O 3.9735 -3.0919 -4.3151 0.2 -0.4 0.4
C 4.5244 -1.9663 -2.4061 1.5 0.1 0.1
C 4.8339 -2.1669 -0.9319 -0.7 -0.4 0.2
C 5.9037 -1.8210 -3.0964 -0.4 -0.2 0.7
C 3.7502 -0.6809 -2.6550 -0.7 -0.5 -0.4
H 4.1867 1.1410 -0.0146 0.2 0.1 0.4
H 3.6892 2.1304 -1.3435 0.2 0.1 -0.2
H 3.4654 2.7606 0.2625 0.1 0.1 0.3
H 1.6211 1.2654 0.6667 -0.2 -0.2 0.3
H 1.3847 1.7772 -0.9888 -0.1 0.1 0.0
H 0.9421 -1.6085 0.1332 0.5 -0.3 0.1
H 2.0579 1.3252 -3.0030 0.1 0.2 0.0
H 1.7911 0.1108 -4.2288 0.0 0.1 -0.3
(So much for the molecular data)
“When passing animals, drive slowly. Give them plenty of room and prepare to stop. Do not scare animals by sounding your horn, revving your engine, or accelerating rapidly once you have passed them. Look out for animals being led, driven, or ridden on the road and take extra care. Keep your speed down at bends and on narrow country roads. If a road is blocked by a herd of animals, stop, and switch off your engine until they have left the road. Watch out for animals on unfenced roads.”
When approaching a horse back rider in a vehicle, it is important to understand that the horse is a flight animal by nature and that a driver can never assume that the rider of the horse is competent or that the horse has been properly schooled to react without fear to an approaching vehicle, particularly one approaching at a high speed. A frightened horse can respond in numerous ways that could and often does result in the rider being thrown and injured, or worst case, jumping into the path of the approaching vehicle, which can and does result in death or serious injury to the rider, the horse or the occupants of the vehicle. When approaching a horseback rider slow your vehicle down to no more than 15 miles per hour and never honk your horn or create any unusual noises.
When approaching livestock, particularly livestock being moved on a rural Montana road, stop your vehicle and turn off your engine until the livestock has passed if the herd is approaching you and do not attempt to pass livestock moving away from you until signaled to do so by the individuals in charge of the herd. The herders will signal where in the road it is safe to pass, if at all. Herders that are horseback and the livestock are all subject to injure themselves or you and your car or both. It is common for ranchers and farmers to move their livestock from between pastures on our Montana rural roads, so treat them with courtesy and respect for the safety of all.
Rod Freeman